Nisf Sha’ban, Supplication On The Night Of 15th SHA’BAN
Allahumma Yaa Dhal Manni walaa yumannu ‘Alayh YaaDhal Jalaali wa’l Ikraam Yaa Dhat-Tawli wa’l In’aam Laa Ilaaha illa anta Zahru’llaajeen wa jaaru’l mustajeereen wa amaanu’l khaaifeen Allahumma in kunta katabtanee ‘Indaka fee Ummil Kitabi Shaqiyyan aw mahruman aw matrudan aw muqattaran ‘alayya fi’rrizqi Fa’mhuAllahumma biFadlika Shaqaawatee wa hirmaanee wa tardee wa’qtitaara rizqee Wa-athbitnee ‘Indaka fee Ummil Kitabi Sa’eedan marzuqan muwaffaqan li’lkhayraati Fa Innaka Qulta wa Qawluka’l Haqq Fee Kitabika’l munzal ‘alaa lisaani Nabiyyika’l Mursal Yamhullahu maa Yashaa’u wa yuthbit Wa ‘Indahu Ummul Kitab Ilaahi Bittajalli’l A’zam Fee laylatin-nisfi min shahri Sha’ban al-Mukarram Allatee yufraqu feehaa kullu amrin hakeemin wa yubram An takshifa ‘annaa mina’l ballaai wa’l balwaai Maa na’lamu wa maa laa na’lam Wa anta bihi a’lam Innaka anta’l A’azzu’l…

Lailat-ul Qadr Supplications
# The text is interrupted by crystal structures
********
## 1
Crystalline Dy2Mg at its relaxed geometry. Source: Alexandria via LeMat-Bulk, functional PBE.

Theoretical density: 6.44 Mg/m³
Symmetry: I4_1/amd

Unit cell a=13.392 b=13.392 c=13.392 alpha=164.11 beta=164.11 gamma=22.55
Sites, in units of the cell vectors:
Dy 0.305 0.555 0.750
Dy 0.445 0.695 0.750
Dy 0.555 0.305 0.250
Dy 0.695 0.445 0.250
Mg 0.125 0.875 0.250
Mg 0.875 0.125 0.750

## 2
Crystalline Dy2Mg at its relaxed geometry. Source: Alexandria via LeMat-Bulk, functional PBE.

Theoretical density: 6.72 Mg/m³
Symmetry: Cmcm

Unit cell a=8.782 b=8.782 c=5.469 alpha=90.00 beta=90.00 gamma=155.83
Sites, in units of the cell vectors:
Dy 0.093 0.907 0.750
Dy 0.226 0.774 0.250
Dy 0.774 0.226 0.750
Dy 0.907 0.093 0.250
Mg 0.435 0.565 0.750
Mg 0.565 0.435 0.250

Q: Which of them is the most stable? A: 2.

## 1
Crystalline Dy2Mg3 at its relaxed geometry. Source: Alexandria via LeMat-Bulk, functional PBE.

Theoretical density: 5.02 Mg/m³
Symmetry: P4/mmm

Unit cell a=3.752 b=3.752 c=18.719 alpha=90.00 beta=90.00 gamma=90.00
Sites, in units of the cell vectors:
Dy 0.000 0.000 0.103
Dy 0.000 0.000 0.303
Dy 0.000 0.000 0.697
Dy 0.000 0.000 0.897
Mg 0.000 0.000 0.500
Mg 0.500 0.500 0.000
Mg 0.500 0.500 0.203
Mg 0.500 0.500 0.410
Mg 0.500 0.500 0.590
Mg 0.500 0.500 0.797

## 2
Crystalline Dy2Mg3 at its relaxed geometry. Source: Alexandria via LeMat-Bulk, functional PBE.

Theoretical density: 4.88 Mg/m³
Symmetry: R-3m

Unit cell a=13.929 b=13.929 c=13.929 alpha=13.88 beta=13.88 gamma=13.88
Sites, in units of the cell vectors:
Dy 0.201 0.201 0.201
Dy 0.799 0.799 0.799
Mg 0.000 0.000 0.000
Mg 0.396 0.396 0.396
Mg 0.604 0.604 0.604

Q: Which of them is the most stable? A: 1.

## 1
Crystalline Dy5Mg at its relaxed geometry. Source: Alexandria via LeMat-Bulk, functional PBE.

Theoretical density: 7.61 Mg/m³
Symmetry: Amm2

Unit cell a=5.598 b=9.308 c=9.308 alpha=22.13 beta=90.00 gamma=90.00
Sites, in units of the cell vectors:
Dy 0.000 0.000 0.000
Dy 0.000 0.330 0.330
Dy 0.000 0.661 0.661
Dy 0.500 0.447 0.447
Dy 0.500 0.778 0.778
Mg 0.500 0.110 0.110

## 2
Crystalline Dy5Mg at its relaxed geometry. Source: Alexandria via LeMat-Bulk, functional PBE.

Theoretical density: 7.69 Mg/m³
Symmetry: P4/mmm

Unit cell a=3.552 b=3.552 c=14.334 alpha=90.00 beta=90.00 gamma=90.00
Sites, in units of the cell vectors:
Dy 0.000 0.000 0.000
Dy 0.000 0.000 0.346
Dy 0.000 0.000 0.654
Dy 0.500 0.500 0.175
Dy 0.500 0.500 0.825
Mg 0.500 0.500 0.500

Q: Which of them is the most stable? A: 2.

## 1
Crystalline DyMg4 at its relaxed geometry. Source: Alexandria via LeMat-Bulk, functional PBE.

Theoretical density: 3.45 Mg/m³
Symmetry: P-1

Unit cell a=3.397 b=5.139 c=7.791 alpha=70.83 beta=77.44 gamma=89.95
Sites, in units of the cell vectors:
Dy 0.000 0.000 0.000
Mg 0.287 0.788 0.424
Mg 0.400 0.399 0.203
Mg 0.600 0.601 0.797
Mg 0.713 0.212 0.576

## 2
Crystalline DyMg4 at its relaxed geometry. Source: Alexandria via LeMat-Bulk, functional PBE.

Theoretical density: 2.10 Mg/m³
********
# Back to the text
Special Supplications delivered at the conclusion of Salat prayers on the 27th of the Month of Ramadan 1437 H. / June 2016 C.E. at Annoor Mosque, Zawiya Fellowship. [Arabic Text Only] “Indeed We revealed the Quran during the Night of Destiny, and what explanation can tell you enough about the Night of Destiny! The Night of Destiny is certainly better than a thousand months [of devotion]. Heavenly beings along with the [Holy] Spirit come down together during it by permission of their Lord, carrying His Command. A [Night of] Peace it is, [and such extraordinary spiritual event will last] until dawn”. (Sura Al-Qadr 97:1-5)

Malã’ika-Angels, the Honorable Companions
“Those who carry the Divine Throne, and those circumambulating it, celebrating the praises of their Lord and have faith in Him, they also implore for His Mercy to forgive the believers [their misdeeds]. [They pray]: “Our Lord! Your Mercy and Compassion reach everything. Forgive those who repented and followed Your Path, and safeguard them from suffering in hellfire.” (Quran 40:7) الَّذِينَ يَحْمِلُونَ الْعَرْشَ وَمَنْ حَوْلَهُ يُسَبِّحُونَ بِحَمْدِ رَبِّهِمْ وَيُؤْمِنُونَ بِهِ وَيَسْتَغْفِرُونَ لِلَّذِينَ آمَنُوا Suhba with Shaykh Al-Akili on Friday April 1st, 2016 C.E. at Masjidun-Noor, the 23rd of Jamadil-Thani 1437 Hijri.

- - -
Here is a geometry-optimized BaMgSc2Fe structure from Alexandria via LeMat-Bulk. Energies are from PBE.

Results
Size of the total moment ... 0.0 μB per cell
ΔE_f ... 0.082 eV per atom
Space-group type ... P4/mmm

```
BaMgSc2Fe
1.0
4.9269 0.0000 0.0000
0.0000 4.9269 0.0000
0.0000 0.0000 5.3657
Ba Mg Sc Fe
1 1 2 1
Direct
0.0000 0.0000 0.0000 Ba
0.5000 0.5000 0.0000 Mg
0.0000 0.5000 0.5000 Sc
0.5000 0.0000 0.5000 Sc
0.5000 0.5000 0.5000 Fe
```

Here is a geometry-optimized Ba2MgFeTc structure from Alexandria via LeMat-Bulk. Energies are from PBE.

Results
Size of the total moment ... 2.7 μB per cell
ΔE_f ... 0.697 eV per atom
Space-group type ... P4/mmm

```
Ba2MgFeTc
1.0
6.2087 0.0000 0.0000
0.0000 6.2087 0.0000
0.0000 0.0000 4.4012
Ba Mg Fe Tc
2 1 1 1
Direct
0.0000 0.5000 0.0000 Ba
0.5000 0.0000 0.0000 Ba
0.0000 0.0000 0.5000 Mg
0.5000 0.5000 0.0000 Fe
0.5000 0.5000 0.5000 Tc
```

Here is a geometry-optimized BaMn2Fe structure from Alexandria via LeMat-Bulk. Energies are from PBE.

Results
Size of the total moment ... 10.0 μB per cell
ΔE_f ... 1.005 eV per atom
ΔE to the lowest computed polymorph ... 2.16 eV/f.u.
Space-group type ... I4/mmm

```
BaMn2Fe
1.0
-2.1762 2.1762 4.2535
2.1762 -2.1762 4.2535
2.1762 2.1762 -4.2535
Ba Mn Fe
1 2 1
Direct
0.0000 0.0000 0.0000 Ba
0.2500 0.7500 0.5000 Mn
0.7500 0.2500 0.5000 Mn
0.5000 0.5000 0.0000 Fe
```

Calculated values (states/eV/cell) of D(E_F) for the records, taken in order: 3.13, 5.52, 3.27.

* * * * *

Arrangement one

DFT (PBE-GGA) results for a relaxed structure of Mg5Mo.

Geometry as CIF:
```
data_Mg5Mo
_chemical_formula_sum 'Mg10 Mo2'
_symmetry_space_group_name_H-M 'C 1 m 1'
_symmetry_Int_Tables_number 8
_symmetry_space_group_name_Hall 'C -2y'
_cell_length_a 11.289
_cell_length_b 2.971
_cell_length_c 7.464
_cell_angle_alpha 90.00
_cell_angle_beta 104.79
_cell_angle_gamma 90.00
loop_
_atom_site_label
_atom_site_type_symbol
_atom_site_fract_x
_atom_site_fract_y
_atom_site_fract_z
Mg1 Mg 0.000 0.000 0.000
Mg2 Mg 0.061 0.000 0.637
Mg3 Mg 0.177 0.500 0.361
Mg4 Mg 0.239 0.500 0.946
Mg5 Mg 0.396 0.000 0.313
Mo1 Mo 0.338 0.000 0.674
```

=====

Arrangement two

DFT (PBE-GGA) results for a relaxed structure of Mg5Mo.

Geometry as CIF:
```
data_Mg5Mo
_chemical_formula_sum 'Mg5 Mo1'
_symmetry_space_group_name_H-M 'P 6/m m m'
_symmetry_Int_Tables_number 191
_symmetry_space_group_name_Hall '-P 6 2'
_cell_length_a 5.6320
_cell_length_b 5.6320
_cell_length_c 4.9850
_cell_angle_alpha 90.00
_cell_angle_beta 90.00
_cell_angle_gamma 120.00
loop_
_atom_site_label
_atom_site_type_symbol
_atom_site_fract_x
_atom_site_fract_y
_atom_site_fract_z
Mg1 Mg 0.0000 0.5000 0.0000
Mg2 Mg 0.3333 0.6667 0.5000
Mo1 Mo 0.0000 0.0000 0.5000
```

=====

Arrangement three

DFT (PBE-GGA) results for a relaxed structure of Mg5Mo.

Geometry as CIF:
```
data_Mg5Mo
_chemical_formula_sum 'Mg5 Mo1'
_symmetry_space_group_name_H-M 'P 4/m m m'
_symmetry_Int_Tables_number 123
_symmetry_space_group_name_Hall '-P 4 2'
_cell_length_a 2.936
- - -
• The text goes on:
Prayers Soliciting Divine Protection
# These calculated crystals were left in the page by mistake
+++
# 1
## SrBi2PI (PBE-GGA)

Data for SrBi2PI after structural relaxation.

The raw formation energy comes out at 376 kJ/mol of formula units. The calculation puts the density of states at the Fermi level at 9.9 states/eV per cell. The value obtained for the electronic total energy is -2.5012 eV per atom.

The structure belongs to space group P4/mmm (No. 123); the cell edges are 6.3083, 6.3083 and 5.4347 Å and the angles 90.00°, 90.00° and 90.00°. The inequivalent atoms are Sr at (0.0000, 0.0000, 0.0000), Bi at (0.0000, 0.5000, 0.0000), P at (0.0000, 0.0000, 0.5000) and I at (0.5000, 0.5000, 0.5000).

=====

# 2
## ZnAgRu2 (PBE-GGA)

Data for ZnAgRu2 after structural relaxation.

The calculation puts the density of states at the Fermi level at 8.7 states/eV per cell. The value obtained for the electronic total energy is -5.3109 eV per atom. The value obtained for the formation energy from the elements is 1.43 eV/f.u.

The structure belongs to space group Imm2 (No. 44); the cell edges are 2.9249, 4.5898 and 8.9035 Å and the angles 90.00°, 90.00° and 90.00°. The inequivalent atoms are Zn at (0.0000, 0.0000, 0.0000), Ag at (0.0000, 0.5000, 0.7480), Ru at (0.0000, 0.0000, 0.5180) and Ru at (0.0000, 0.5000, 0.2538).

=====

# 3
## Y4Zn2CdCu (PBE-GGA)

Data for Y4Zn2CdCu after structural relaxation.

The calculation puts the density of states at the Fermi level at 19.8 states/eV per cell. The value obtained for the electronic total energy is -4.4931 eV per atom. The value obtained for the formation energy from the elements is -2.53 eV/f.u.

The structure belongs to space group R-3m (No. 166, hexagonal axes); the cell edges are 5.1055, 5.1055 and 24.8847 Å and the angles 90.00°, 90.00° and 120.00°. The inequivalent atoms are Y at (0.0000, 0.0000, 0.1192), Y at (0.0000, 0.0000, 0.3699), Zn at (0.0000, 0.0000, 0.2461), Cd at (0.0000, 0.0000, 0.5000) and Cu at (0.0000, 0.0000, 0.0000).

=====

# 4
## Y2ZrMn (PBE-GGA)

Data for Y2ZrMn after structural relaxation.

Its relative energy among the computed polymorphs is 0.184 eV/atom. The calculation puts the density of states at the Fermi level at 9.0 states/eV per cell. The value obtained for the electronic total energy is -7.3713 eV per atom. The value obtained for the formation energy from the elements is 1.16 eV/f.u.

The structure belongs to space group I4/mmm (No. 139); the cell edges are 4.6421, 4.6421 and 9.2702 Å and the angles 90.00°, 90.00° and 90.00°. The inequivalent atoms are Y at (0.0000, 0.5000, 0.2500), Zr at (0.0000, 0.0000, 0.0000) and Mn at (0.0000, 0.0000, 0.5000).

=====

# 5
## TiSnS2 (PBE-GGA)

Data for TiSnS2 after structural relaxation.

The raw formation energy comes out at -213 kJ/mol of formula units. The calculation puts the density of states at the Fermi level at 9.3 states/eV per cell. The value obtained for the electronic total energy is -5.5892 eV per atom.
+++
I place myself in the guardianship of Allah which cannot be prejudiced against, in the station of nearness to Allah which cannot be transgressed, in the defense of Allah which cannot be overcome, under the canopy of Allah’s veil which cannot be violated, in Allah’s defense that cannot be overcome, in Allah’s Trust that never gets lost. Whoever is in Allah’s proximity is well guarded, and whoever seeks the protection of Allah is protected. Surely Allah’s Majesty is manifest and no space is free of Allah’s sovereignty. Any eye intending harm to me will meet with vexation and humiliation by Allah’s leave. Most Magnificent is Allah, and all praises are due to the Divine Sovereign Lord. Surely there is no…